To do =
Start at the top of the calculation results below and reproduce each line, ending with the one that has "0.5954 0.1096".
Given =
The following is a DFT calculation (PBE+U) of a relaxed structure of Na6Co3B9P6H3O38.

a = 11.8205 Å, b = 11.8241 Å, c = 12.2317 Å
α = 90.00°, β = 90.00°, γ = 120.03°
With the nearest neighbours (Å) after each atom.
Sites, in units of the cell vectors:
O1 0.2051 0.9029 0.7323  1 B 1.50, 1 P 1.56
O2 0.5672 0.8953 0.7792  1 P 1.53
O3 0.6305 0.1460 0.6062  1 H 0.99
O4 0.8541 0.4843 0.6062  1 H 0.99
O5 0.0975 0.3022 0.7323  1 B 1.50, 1 P 1.56
O6 0.5126 0.6805 0.8728  1 P 1.54
O7 0.6680 0.5735 0.9502  1 P 1.53
O8 0.0627 0.6360 0.0131  2 B 1.38-1.50
O9 0.1616 0.2737 0.9202  1 B 1.49, 1 P 1.58
O10 0.8384 0.7263 0.4202  1 B 1.49, 1 P 1.58
O11 0.8315 0.5125 0.3734  1 P 1.54
O12 0.8284 0.5099 0.8657  1 P 1.52
O13 0.4360 0.0696 0.7105  2 B 1.38-1.52
O14 0.4874 0.3195 0.3728  1 P 1.54
O15 0.5640 0.9304 0.2105  2 B 1.38-1.52
O16 0.0000 0.0001 0.6510  1 Na 2.56, 3 O 2.79-2.80
O17 0.9025 0.6978 0.2323  1 B 1.50, 1 P 1.56
O18 0.2956 0.1950 0.9977  1 B 1.48, 1 P 1.57
O19 0.6981 0.7953 0.7322  1 B 1.49, 1 P 1.56
O20 0.1459 0.5157 0.1062  1 H 0.99
O21 0.8355 0.7186 0.8065  1 B 1.47, 1 P 1.59
O22 0.6355 0.5733 0.5130  2 B 1.38-1.51
O23 0.2741 0.1125 0.4202  1 B 1.49, 1 P 1.58
O24 0.6808 0.1685 0.3732  1 P 1.54
O25 0.8211 0.7361 0.6143  2 B 1.44
O26 0.7949 0.0971 0.2324  1 B 1.50, 1 P 1.56
O27 0.5744 0.9058 0.4507  1 P 1.53
O28 0.5729 0.9370 0.0131  2 B 1.38-1.50
O29 0.6331 0.5642 0.7106  2 B 1.38-1.52
O30 0.7360 0.9149 0.1142  2 B 1.44
O31 0.5101 0.6812 0.3662  1 P 1.52
O32 0.0000 0.9999 0.1510  1 Na 2.56, 3 O 2.79-2.80
O33 0.9373 0.3640 0.5131  2 B 1.38-1.50
O34 0.3019 0.2047 0.2322  1 B 1.49, 1 P 1.56
O35 0.4899 0.3188 0.8662  1 P 1.52
O36 0.3192 0.8315 0.8732  1 P 1.54
O37 0.3645 0.4267 0.0130  2 B 1.38-1.51
O38 0.7183 0.8823 0.3062  1 B 1.48, 1 P 1.58
O39 0.1645 0.2814 0.3065  1 B 1.47, 1 P 1.59
O40 0.0693 0.6336 0.2105  2 B 1.38-1.52
O41 0.1685 0.4875 0.8734  1 P 1.54
O42 0.3330 0.6654 0.5744  1 Na 2.42
O43 0.8878 0.1617 0.4201  1 B 1.49, 1 P 1.58
O44 0.2817 0.1177 0.8062  1 B 1.48, 1 P 1.58
O45 0.4256 0.0942 0.9507  1 P 1.53
O46 0.1122 0.8383 0.9201  1 B 1.49, 1 P 1.58
O47 0.0941 0.6685 0.4506  1 P 1.53
O48 0.4271 0.0630 0.5131  2 B 1.38-1.50
O49 0.7259 0.8875 0.9202  1 B 1.49, 1 P 1.58
O50 0.1009 0.2960 0.4977  1 B 1.48, 1 P 1.57
O51 0.6716 0.5670 0.2797  1 P 1.53
O52 0.1716 0.4901 0.3657  1 P 1.52
O53 0.4845 0.6301 0.1062  1 H 0.99
O54 0.6670 0.3346 0.0744  1 Na 2.42
O55 0.8828 0.1643 0.8063  1 B 1.47, 1 P 1.59
O56 0.9307 0.3664 0.7105  2 B 1.38-1.52
O57 0.9151 0.1788 0.6143  2 B 1.44
O58 0.6815 0.1717 0.8658  1 P 1.52
O59 0.3695 0.8540 0.1062  1 H 0.99
O60 0.1789 0.2639 0.1143  2 B 1.44
O61 0.1954 0.8994 0.4976  1 B 1.48, 1 P 1.57
O62 0.2640 0.0851 0.6142  2 B 1.44
O63 0.3320 0.4265 0.4502  1 P 1.53
O64 0.9059 0.3315 0.9506  1 P 1.53
O65 0.8991 0.7040 0.9977  1 B 1.48, 1 P 1.57
O66 0.3284 0.4330 0.7797  1 P 1.53
O67 0.1047 0.6719 0.7792  1 P 1.53
O68 0.8046 0.1006 0.9976  1 B 1.48, 1 P 1.57
O69 0.5155 0.3699 0.6062  1 H 0.99
O70 0.4328 0.1047 0.2792  1 P 1.53
O71 0.7044 0.8050 0.4977  1 B 1.48, 1 P 1.57
O72 0.1172 0.8357 0.3063  1 B 1.47, 1 P 1.59
O73 0.3185 0.8283 0.3658  1 P 1.52
O74 0.3669 0.4358 0.2106  2 B 1.38-1.52
O75 0.8953 0.3281 0.2792  1 P 1.53
O76 0.0849 0.8212 0.1143  2 B 1.44
B1 0.5040 0.9088 0.1097  3 O 1.38-1.39
B2 0.7482 0.7031 0.7146  4 O 1.44-1.52
B3 0.7024 0.9545 0.2145  4 O 1.44-1.52
B4 0.9090 0.4046 0.6096  3 O 1.38-1.39
B5 0.0455 0.7482 0.2146  4 O 1.44-1.52
B6 0.9598 0.2499 0.5134  4 O 1.44-1.50
B7 0.4050 0.4958 0.1096  3 O 1.38
B8 0.2518 0.2969 0.2146  4 O 1.44-1.52
B9 0.5950 0.5042 0.6096  3 O 1.38
B10 0.2902 0.0401 0.5134  4 O 1.44-1.50
B11 0.7503 0.7105 0.5134  4 O 1.44-1.51
B12 0.9545 0.2518 0.7146  4 O 1.44-1.52
B13 0.0910 0.5954 0.1096  3 O 1.38-1.39
B14 0.7098 0.9599 0.0134  4 O 1.44-1.50
B15 0.2497 0.2895 0.0134  4 O 1.44-1.51
B16 0.2976 0.0455 0.7145  4 O 1.44-1.52
B17 0.0402 0.7501 0.0134  4 O 1.44-1.50
B18 0.4960 0.0912 0.6097  3 O 1.38-1.39
Co1 0.4951 0.9963 0.3647  4 O 2.03-2.12
Worked solution =
The following is a DFT calculation (PBE+U) of a relaxed structure of Na6Co3B9P6H3O38.

a = 11.8205 Å, b = 11.8241 Å, c = 12.2317 Å
α = 90.00°, β = 90.00°, γ = 120.03°
With the nearest neighbours (Å) after each atom.
Sites, in units of the cell vectors:
O1 0.2051 0.9029 0.7323  1 B 1.50, 1 P 1.56
O2 0.5672 0.8953 0.7792  1 P 1.53
O3 0.6305 0.1460 0.6062  1 H 0.99
O4 0.8541 0.4843 0.6062  1 H 0.99
O5 0.0975 0.3022 0.7323  1 B 1.50, 1 P 1.56
O6 0.5126 0.6805 0.8728  1 P 1.54
O7 0.6680 0.5735 0.9502  1 P 1.53
O8 0.0627 0.6360 0.0131  2 B 1.38-1.50
O9 0.1616 0.2737 0.9202  1 B 1.49, 1 P 1.58
O10 0.8384 0.7263 0.4202  1 B 1.49, 1 P 1.58
O11 0.8315 0.5125 0.3734  1 P 1.54
O12 0.8284 0.5099 0.8657  1 P 1.52
O13 0.4360 0.0696 0.7105  2 B 1.38-1.52
O14 0.4874 0.3195 0.3728  1 P 1.54
O15 0.5640 0.9304 0.2105  2 B 1.38-1.52
O16 0.0000 0.0001 0.6510  1 Na 2.56, 3 O 2.79-2.80
O17 0.9025 0.6978 0.2323  1 B 1.50, 1 P 1.56
O18 0.2956 0.1950 0.9977  1 B 1.48, 1 P 1.57
O19 0.6981 0.7953 0.7322  1 B 1.49, 1 P 1.56
O20 0.1459 0.5157 0.1062  1 H 0.99
O21 0.8355 0.7186 0.8065  1 B 1.47, 1 P 1.59
O22 0.6355 0.5733 0.5130  2 B 1.38-1.51
O23 0.2741 0.1125 0.4202  1 B 1.49, 1 P 1.58
O24 0.6808 0.1685 0.3732  1 P 1.54
O25 0.8211 0.7361 0.6143  2 B 1.44
O26 0.7949 0.0971 0.2324  1 B 1.50, 1 P 1.56
O27 0.5744 0.9058 0.4507  1 P 1.53
O28 0.5729 0.9370 0.0131  2 B 1.38-1.50
O29 0.6331 0.5642 0.7106  2 B 1.38-1.52
O30 0.7360 0.9149 0.1142  2 B 1.44
O31 0.5101 0.6812 0.3662  1 P 1.52
O32 0.0000 0.9999 0.1510  1 Na 2.56, 3 O 2.79-2.80
O33 0.9373 0.3640 0.5131  2 B 1.38-1.50
O34 0.3019 0.2047 0.2322  1 B 1.49, 1 P 1.56
O35 0.4899 0.3188 0.8662  1 P 1.52
O36 0.3192 0.8315 0.8732  1 P 1.54
O37 0.3645 0.4267 0.0130  2 B 1.38-1.51
O38 0.7183 0.8823 0.3062  1 B 1.48, 1 P 1.58
O39 0.1645 0.2814 0.3065  1 B 1.47, 1 P 1.59
O40 0.0693 0.6336 0.2105  2 B 1.38-1.52
O41 0.1685 0.4875 0.8734  1 P 1.54
O42 0.3330 0.6654 0.5744  1 Na 2.42
O43 0.8878 0.1617 0.4201  1 B 1.49, 1 P 1.58
O44 0.2817 0.1177 0.8062  1 B 1.48, 1 P 1.58
O45 0.4256 0.0942 0.9507  1 P 1.53
O46 0.1122 0.8383 0.9201  1 B 1.49, 1 P 1.58
O47 0.0941 0.6685 0.4506  1 P 1.53
O48 0.4271 0.0630 0.5131  2 B 1.38-1.50
O49 0.7259 0.8875 0.9202  1 B 1.49, 1 P 1.58
O50 0.1009 0.2960 0.4977  1 B 1.48, 1 P 1.57
O51 0.6716 0.5670 0.2797  1 P 1.53
O52 0.1716 0.4901 0.3657  1 P 1.52
O53 0.4845 0.6301 0.1062  1 H 0.99
O54 0.6670 0.3346 0.0744  1 Na 2.42
O55 0.8828 0.1643 0.8063  1 B 1.47, 1 P 1.59
O56 0.9307 0.3664 0.7105  2 B 1.38-1.52
O57 0.9151 0.1788 0.6143  2 B 1.44
O58 0.6815 0.1717 0.8658  1 P 1.52
O59 0.3695 0.8540 0.1062  1 H 0.99
O60 0.1789 0.2639 0.1143  2 B 1.44
O61 0.1954 0.8994 0.4976  1 B 1.48, 1 P 1.57
O62 0.2640 0.0851 0.6142  2 B 1.44
O63 0.3320 0.4265 0.4502  1 P 1.53
O64 0.9059 0.3315 0.9506  1 P 1.53
O65 0.8991 0.7040 0.9977  1 B 1.48, 1 P 1.57
O66 0.3284 0.4330 0.7797  1 P 1.53
O67 0.1047 0.6719 0.7792  1 P 1.53
O68 0.8046 0.1006 0.9976  1 B 1.48, 1 P 1.57
O69 0.5155 0.3699 0.6062  1 H 0.99
O70 0.4328 0.1047 0.2792  1 P 1.53
O71 0.7044 0.8050 0.4977  1 B 1.48, 1 P 1.57
O72 0.1172 0.8357 0.3063  1 B 1.47, 1 P 1.59
O73 0.3185 0.8283 0.3658  1 P 1.52
O74 0.3669 0.4358 0.2106  2 B 1.38-1.52
O75 0.8953 0.3281 0.2792  1 P 1.53
O76 0.0849 0.8212 0.1143  2 B 1.44
B1 0.5040 0.9088 0.1097  3 O 1.38-1.39
B2 0.7482 0.7031 0.7146  4 O 1.44-1.52
B3 0.7024 0.9545 0.2145  4 O 1.44-1.52
B4 0.9090 0.4046 0.6096  3 O 1.38-1.39
B5 0.0455 0.7482 0.2146  4 O 1.44-1.52
B6 0.9598 0.2499 0.5134  4 O 1.44-1.50
B7 0.4050 0.4958 0.1096  3 O 1.38
B8 0.2518 0.2969 0.2146  4 O 1.44-1.52
B9 0.5950 0.5042 0.6096  3 O 1.38
B10 0.2902 0.0401 0.5134  4 O 1.44-1.50
B11 0.7503 0.7105 0.5134  4 O 1.44-1.51
B12 0.9545 0.2518 0.7146  4 O 1.44-1.52
B13 0.0910 0.5954 0.1096  3 O 1.38-1.39